Making Sure They Learn Their Lesson
I really believe that most parents get no pleasure out of spanking their children and do so only so that they will “learn their lesson.” But what does spanking children really teach them? I have seen many testimonies of adults who were spanked as children who did not learn what their parents meant to teach them. Some of those testimonies can be found in this discussion at Gentle Christian Mothers. But wait. Can a child really learn without corporal punishment? Here is a memory from David H. Roper who learned a very important lesson without being spanked or even yelled at. After reading both the discussion and the devotional, take a while to reflect on this question: would he have learned the same lesson if the person who heard him say that word had spanked him, yelled at him and/or washed his mouth out with soap?
Dara Stoltzfus has a post about this same topic regarding The Lion King.
I learned lots of lessons thanks to corporal punishment.
I learned how to lie.
Next to the text, the page also holds calculated crystals =
~~~
Record 1
This record from the Materials Project describes a geometry-optimized TaGeRh structure. The functional is GGA-PBE.

a b c (Å): 3.8722 6.4727 7.4974
angles (deg): 90.00 90.00 90.00
Fractional coordinates of all 12 atoms:
1 Ge 0.7500 0.2594 0.6238
2 Ta 0.2500 0.4722 0.8215
3 Ta 0.7500 0.0278 0.3215
4 Rh 0.7500 0.1446 0.9371
5 Rh 0.2500 0.3554 0.4371
6 Rh 0.2500 0.8554 0.0629
7 Ge 0.7500 0.7594 0.8762
8 Ge 0.2500 0.7406 0.3762
9 Ge 0.2500 0.2406 0.1238
10 Ta 0.2500 0.9722 0.6785
11 Ta 0.7500 0.5278 0.1785
12 Rh 0.7500 0.6446 0.5629

Summary:
The calculation puts the formation energy at -0.54 eV per atom.

Record 2
This record from the Materials Project describes a geometry-optimized Rb3Tc structure. The functional is GGA-PBE.

a b c (Å): 6.6884 6.6884 6.6884
angles (deg): 60.00 60.00 60.00
Fractional coordinates of all 4 atoms:
1 Rb 0.2500 0.2500 0.2500
2 Rb 0.7500 0.7500 0.7500
3 Rb 0.0000 0.0000 0.0000
4 Tc 0.5000 0.5000 0.5000

Summary:
The value obtained for the offset from the most stable computed form is 7 meV per atom. The magnetic moment comes out at 3.7 Bohr magnetons per cell. The calculation puts the formation energy at 1.25 eV per atom.

Record 3
This record from the Materials Project describes a geometry-optimized K2UC2SeSNO8 structure. The functional is GGA-PBE.

a b c (Å): 7.3048 11.7981 14.5349
angles (deg): 93.67 90.00 90.00
Fractional coordinates of all 64 atoms:
1 O 0.3445 0.3812 0.1490
2 S 0.1718 0.0550 0.3005
3 O 0.7657 0.4351 0.4434
4 O 0.2416 0.7397 0.9244
5 O 0.7416 0.2603 0.5756
6 C 0.0878 0.0258 0.0207
7 K 0.9316 0.8367 0.3620
8 O 0.1037 0.3696 0.0027
9 O 0.4958 0.4763 0.6720
10 N 0.9533 0.2156 0.3993
11 Se 0.8265 0.5538 0.9003
12 O 0.9469 0.2388 0.8444
13 C 0.4530 0.1478 0.8567
14 O 0.2054 0.9566 0.0489
15 O 0.0531 0.7612 0.1556
16 O 0.7054 0.0434 0.4511
17 O 0.9958 0.5237 0.8280
18 U 0.3529 0.7493 0.5404
19 K 0.6512 0.5443 0.1456
20 O 0.5042 0.5237 0.3280
21 C 0.5878 0.9742 0.4793
22 O 0.4469 0.7612 0.6556
23 O 0.2343 0.5649 0.5566
24 S 0.8282 0.9450 0.6995
25 O 0.1555 0.3812 0.6490
26 O 0.3980 0.1328 0.5241
27 U 0.8529 0.2507 0.9596
28 O 0.6037 0.6304 0.4973
29 K 0.0684 0.1633 0.6380
30 N 0.0467 0.7844 0.6007
31 O 0.8963 0.6304 0.9973
32 O 0.8445 0.6188 0.3510
33 K 0.8488 0.5443 0.6456
34 U 0.6471 0.2507 0.4596
35 C 0.0470 0.1478 0.3567
36 K 0.1512 0.4557 0.3544
37 O 0.2584 0.7397 0.4244
38 O 0.2946 0.9566 0.5489
39 O 0.6555 0.6188 0.8510
40 C 0.4122 0.0258 0.5207
41 Se 0.3265 0.4462 0.5997
42 O 0.3963 0.3696 0.5027
43 K 0.3488 0.4557 0.8544
44 Se 0.1735 0.4462 0.0997
45 O 0.5531 0.2388 0.3444
46 O 0.7584 0.2603 0.0756
47 O 0.1020 0.1328 0.0241
48 O 0.2657 0.5649 0.0566
49 C 0.5470 0.8522 0.1433
50 O 0.6020 0.8672 0.4759
51 S 0.6718 0.9450 0.1995
52 K 0.5684 0.8367 0.8620
53 C 0.9122 0.9742 0.9793
54 U 0.1471 0.7493 0.0404
55 O 0.7343 0.4351 0.9434
56 N 0.5467 0.2156 0.8993
57 N 0.4533 0.7844 0.1007
58 K 0.4316 0.1633 0.1380
59 O 0.0042 0.4763 0.1720
60 Se 0.6735 0.5538 0.4003
61 O 0.8980 0.8672 0.9759
~~~
I learned how to hide what I was feeling.
I learned to look my parents in the eye and ask for forgiveness while cursing at them inside.
I learned how to never, ever get caught.
I learned that when a parent hits their child, they are doing nothing but “provoking them to wrath” which is biblically forbidden.
I learned that hitting a child and blaming it on Jesus puts a wall between the child and God that takes years to remove.
[Unrelated to this piece: calculated crystals]
********
1.
Compound: LiMn2Si2O7
Source: the Materials Project
Functional: PBE with a Hubbard U
Structure: optimized geometry

Geometry as POSCAR:
```
LiMn2Si2O7
1.0
0.837 -1.905 4.470
3.662 2.022 2.610
-9.059 8.493 5.616
Li Mn Si O
2 4 4 14
direct
0.349 0.285 0.915 Li
0.715 0.651 0.415 Li
0.989 0.950 0.255 Mn
0.050 0.011 0.755 Mn
0.048 0.949 0.019 Mn
0.051 0.953 0.519 Mn
0.714 0.638 0.855 Si
0.362 0.286 0.355 Si
0.712 0.600 0.642 Si
0.400 0.288 0.142 Si
0.201 0.658 0.151 O
0.342 0.798 0.651 O
0.104 0.647 0.359 O
0.353 0.896 0.859 O
0.322 0.144 0.244 O
0.856 0.678 0.744 O
0.856 0.661 0.544 O
0.339 0.144 0.044 O
0.937 0.668 0.933 O
0.332 0.063 0.433 O
0.804 0.235 0.647 O
0.765 0.196 0.147 O
0.739 0.292 0.852 O
0.708 0.262 0.352 O
```

Results
The space-group type is Cc (9). As for the total energy: -7.441 eV/atom. As for the magnetization: 1.994 μB/cell. Its MP2020-corrected energy is -8.12 eV per atom.



2.
Compound: Li2Mn5Si12O30
Source: the Materials Project
Functional: PBE with a Hubbard U
Structure: optimized geometry

Geometry as POSCAR:
```
Li2Mn5Si12O30
1.0
5.203 -9.012 0.000
5.203 9.012 0.000
0.000 0.000 14.677
Li Mn Si O
4 10 24 60
direct
0.333 0.667 0.750 Li
0.000 0.000 0.500 Li
0.000 0.000 0.000 Li
0.667 0.333 0.250 Li
0.000 0.499 0.500 Mn
0.000 0.499 0.000 Mn
0.333 0.667 0.004 Mn
0.333 0.667 0.496 Mn
0.501 0.501 0.000 Mn
0.501 0.501 0.500 Mn
0.667 0.333 0.996 Mn
0.667 0.333 0.504 Mn
0.499 0.000 0.000 Mn
0.499 0.000 0.500 Mn
0.113 0.765 0.359 Si
0.113 0.765 0.141 Si
0.234 0.886 0.859 Si
0.234 0.886 0.641 Si
0.114 0.348 0.859 Si
0.114 0.348 0.641 Si
0.235 0.348 0.141 Si
0.235 0.348 0.359 Si
0.652 0.887 0.141 Si
0.652 0.887 0.359 Si
0.348 0.235 0.641 Si
0.348 0.235 0.859 Si
0.652 0.766 0.641 Si
0.652 0.766 0.859 Si
0.348 0.114 0.359 Si
0.348 0.114 0.141 Si
0.766 0.652 0.141 Si
0.766 0.652 0.359 Si
0.887 0.652 0.859 Si
0.887 0.652 0.641 Si
0.765 0.113 0.859 Si
0.765 0.113 0.641 Si
0.886 0.234 0.141 Si
0.886 0.234 0.359 Si
0.057 0.785 0.615 O
0.057 0.785 0.885 O
0.218 0.943 0.384 O
0.218 0.943 0.116 O
0.124 0.742 0.250 O
0.155 0.662 0.418 O
0.155 0.662 0.082 O
0.257 0.863 0.750 O
0.158 0.498 0.915 O
0.158 0.498 0.585 O
0.057 0.274 0.116 O
0.057 0.274 0.384 O
0.339 0.842 0.915 O
0.339 0.842 0.585 O
0.137 0.394 0.750 O
0.258 0.382 0.250 O
0.507 0.845 0.418 O
0.507 0.845 0.082 O
0.215 0.272 0.885 O
0.215 0.272 0.615 O
0.338 0.493 0.418 O
0.338 0.493 0.082 O
0.272 0.215 0.115 O
0.272 0.215 0.385 O
0.618 0.876 0.250 O
0.502 0.661 0.585 O
0.502 0.661 0.915 O
0.274 0.057 0.884 O
0.274 0.057 0.616 O
0.606 0.743 0.750 O
0.382 0.258 0.750 O
0.728 0.943 0.885 O
0.728 0.943 0.615 O
0.493 0.338 0.918 O
0.493 0.338 0.582 O
0.394 0.137 0.250 O
0.726 0.782 0.116 O
0.726 0.782 0.384 O
0.661 0.502 0.085 O
0.661 0.502 0.415 O
0.782 0.726 0.884 O
0.782 0.726 0.616 O
0.498 0.158 0.085 O
0.498 0.158 0.415 O
0.743 0.606 0.250 O
0.876 0.618 0.750 O
0.662 0.155 0.918 O
0.662 0.155 0.582 O
0.943 0.728 0.115 O
0.943 0.728 0.385 O
0.845 0.507 0.918 O
0.845 0.507 0.582 O
********
[Here the piece continues]
I also learned that I would never hit my child. And I’m pleased to report that my child, at almost 9, is kind, considerate, honest, open, and can admit his mistakes to us without fear of reprisal.
I learned that God’s Grace is big enough to overcome even the abuse dispensed in His name, and that it’s possible to break the cycle.
Even if a lesson is learned through corporal punishment, it’s learned for the wrong reason. Kids will learn not to do X because otherwise they will be punished – not because it’s the wrong thing to do. What that means is that how well a child behaves will depend on their temperament, their risk tolerance. How much is X worth to them? Is it worth the punishment? If the answer is yes, they will misbehave anyway.
Calculated crystals, as found in the file:
/*
[1]
## Li5FeP3O11 (PBE+U)

Data for a relaxed Li5FeP3O11 crystal.

Output
space-group type = P-1 (2)

```
40
Lattice="5.3650 0.0000 0.0000 0.6835 8.4982 0.0000 0.2176 0.9554 9.5699" Properties=species:S:1:pos:R:3 pbc="T T T"
Li 0.0935 0.3565 3.2931
Li 1.5310 6.0039 7.8418
Li 1.5277 3.8327 6.3902
Li 1.9925 5.8460 1.4996
Li 2.0959 3.5911 3.2987
Li 4.1702 5.8625 6.2712
Li 4.2736 3.6076 8.0703
Li 4.7384 5.6209 3.1797
Li 4.7351 3.4497 1.7281
Li 6.1726 9.0971 6.2768
Fe 0.0000 0.0000 0.0000
Fe 2.7913 0.4777 4.7850
P 1.4587 2.8005 0.2252
P 2.1066 6.4406 4.6383
P 2.5673 0.5474 1.7838
P 3.6988 8.9063 7.7862
P 4.1595 3.0131 4.9316
P 4.8074 6.6532 9.3447
O 0.8382 7.3242 9.3966
O 1.4515 7.8457 4.8487
O 1.3778 5.6106 3.5465
O 1.4336 3.8201 1.3758
O 1.5767 0.9161 7.7864
O 2.1344 8.0367 1.4901
O 2.1369 5.6921 6.0050
O 2.1813 4.2489 8.4441
O 2.1664 1.3160 3.0659
O 2.6831 2.6977 5.3580
O 2.5583 1.6738 0.6196
O 3.7078 7.7798 8.9503
O 3.5830 6.7559 4.2119
O 4.0997 8.1377 6.5040
O 4.0848 5.2047 1.1258
O 4.1292 3.7616 3.5649
O 4.1317 1.4170 8.0798
O 4.6893 8.5376 1.7835
O 4.8325 5.6336 8.1941
O 4.8883 3.8430 6.0234
O 4.8146 1.6080 4.7212
O 5.4279 2.1295 0.1733
```

[2]
## Li2FeP2O7 (PBE+U)

Data for a relaxed Li2FeP2O7 crystal.

Output
energy above the lowest structure with this stoichiometry = 0 meV/atom
space-group type = P1 (1)

```
48
Lattice="5.1087 0.0000 0.0000 -2.3892 10.7534 0.0000 -2.3925 -2.3469 10.4966" Properties=species:S:1:pos:R:3 pbc="T T T"
Li 0.0000 0.0000 0.0000
Li -2.3913 4.2030 5.2509
Li -0.5051 -0.2002 4.0195
Li -2.8954 3.9999 9.2666
Li 2.1820 2.2509 0.3682
Li -0.2060 6.4564 5.6178
Li 1.6766 -0.3329 6.2986
Li 1.6816 6.2139 1.0479
Fe -2.3966 0.2881 9.0120
Fe -2.3953 6.8366 3.7629
Fe 1.6830 1.6887 4.0491
Fe -0.7066 5.8947 9.2985
P -0.8564 2.1995 1.9684
P -3.2472 6.4025 7.2187
P -0.9622 1.4731 6.3289
P -0.9577 8.0230 1.0785
P 0.2495 4.5671 3.4779
P -2.1428 8.7715 8.7268
P 0.1441 2.4279 8.9690
P 0.1453 8.9792 3.7196
O -1.8386 2.3332 5.4213
O -1.8355 8.8824 0.1716
O -1.7464 0.3749 7.0478
O -1.7414 6.9239 1.7975
O -0.0149 1.2067 2.7677
O -2.4054 5.4090 8.0163
O -0.3129 3.7044 2.2214
O -2.7013 7.9063 7.4678
O -0.9662 -1.3892 9.4808
O -0.9610 5.1629 4.2333
O 0.2478 0.8648 5.5844
O 0.2562 7.4183 0.3339
O -0.4014 2.5120 7.4465
O -0.3996 9.0624 2.1973
O -0.6981 1.4327 9.7639
O -0.6974 7.9848 4.5158
O 1.0320 3.6238 4.3927
O -1.3581 7.8318 9.6433
O 1.1220 -0.9087 8.0853
O 1.1283 5.6398 2.8380
O 2.3902 -0.3345 4.2483
O -0.0002 3.8656 9.5004
O 2.7541 2.1603 2.2961
O 0.3625 6.3636 7.5477
O 1.6426 2.0992 8.9359
O 1.6438 8.6491 3.6874
O 2.0042 6.1964 5.6990
O 4.3996 1.9971 0.4489
```

no.,formation energy from the elements (eV/atom),total magnetization (μB/f.u.)
1,-2.6020,4.00
2,-2.5709,0.00

~~~~~

A plane-wave DFT calculation with PBE was carried out for a relaxed structure of SrMgSnP2O8.

Computed properties:
For the magnetization, the calculation gives 0.001 μB/f.u. The calculation puts the total energy at -88.918 eV/f.u.

a b c (Å): 5.611 7.154 10.056
*/
Gentle parenting may be slower, but it’s so much more effective. It teaches children to moderate their own behaviour, to not do something bad because it might harm someone or cause someone to be sad. That internal motivation only gets stronger with age as they become better at abstract and empathetic thought, while the lessons of corporal punishment get weaker with age as they stop fearing their parents as much.